[Listing]
=====
(1)
The following is a DFT calculation (PBE) of BaTe2SN after structural relaxation.

Cell and atoms, written as POSCAR:
```
BaTe2SN
1.0
-6.716 0.142 1.271
0.249 -6.519 2.044
0.974 1.595 4.967
S Te Ba N
1 2 1 1
Cartesian
-2.746 -2.391 4.141
-3.358 0.071 0.636
0.124 -3.260 1.022
0.000 0.000 0.000
0.487 0.797 2.484
```

Properties
- Spin magnetization: 7.0 μB per formula unit
- Formation energy (no corrections): 1.262 eV/atom
- DOS at the Fermi energy: 5.6 states/eV/cell
- Relative energy among the computed polymorphs: 1.179 eV/atom



(2)
The following is a DFT calculation (PBE) of BaTiS2N after structural relaxation.

Cell and atoms, written as POSCAR:
```
BaTiS2N
1.0
5.680 0.000 0.000
0.000 5.680 0.000
0.000 0.000 4.553
Ti S Ba N
1 2 1 1
Cartesian
2.840 2.840 2.277
2.840 0.000 0.000
0.000 2.840 0.000
0.000 0.000 0.000
0.000 0.000 2.277
```

Properties
- Spin magnetization: 0.6 μB per formula unit
- Formation energy (no corrections): 1.076 eV/atom
- DOS at the Fermi energy: 3.9 states/eV/cell
- Relative energy among the computed polymorphs: 2.230 eV/atom



(3)
The following is a DFT calculation (PBE) of BaTiS2N after structural relaxation.

Cell and atoms, written as POSCAR:
```
BaTiS2N
1.0
4.980 0.000 0.000
0.000 4.980 0.000
0.000 0.000 4.023
Ti Ba S N
1 1 2 1
Cartesian
0.000 0.000 0.000
2.490 2.490 2.012
0.000 2.490 0.000
2.490 0.000 0.000
0.000 0.000 2.012
```

Properties
- Spin magnetization: 1.0 μB per formula unit
- Formation energy (no corrections): -1.154 eV/atom
- DOS at the Fermi energy: 1.9 states/eV/cell
- Relative energy among the computed polymorphs: 0.000 eV/atom



(4)
The following is a DFT calculation (PBE) of BaVS2N after structural relaxation.

Cell and atoms, written as POSCAR:
```
BaVS2N
1.0
4.957 0.000 0.000
0.000 4.957 0.000
0.000 0.000 3.808
Ba S N V
1 2 1 1
Cartesian
2.479 2.479 1.904
2.479 0.000 0.000
0.000 2.479 0.000
0.000 0.000 1.904
0.000 0.000 0.000
```

Properties
- Spin magnetization: 0.0 μB per formula unit
- Formation energy (no corrections): -0.933 eV/atom
- DOS at the Fermi energy: 2.9 states/eV/cell
- Relative energy among the computed polymorphs: 0.000 eV/atom



(5)
The following is a DFT calculation (PBE) of BaVSN2 after structural relaxation.

Cell and atoms, written as POSCAR:
```
BaVSN2
1.0
-0.969 2.062 3.886
2.130 -3.261 2.262
5.206 3.143 -0.370
S N Ba V
1 2 1 1
Cartesian
2.603 1.572 -0.185
1.065 -1.631 1.131
-0.485 1.031 1.943
0.000 0.000 0.000
3.183 0.972 2.889
```

Properties
- Spin magnetization: 1.0 μB per formula unit
- Formation energy (no corrections): 1.797 eV/atom
- DOS at the Fermi energy: 5.4 states/eV/cell
- Relative energy among the computed polymorphs: 2.241 eV/atom



(6)
The following is a DFT calculation (PBE) of BaVS2N after structural relaxation.

Cell and atoms, written as POSCAR:
```
BaVS2N
1.0
-5.595 -0.301 0.354
-0.015 -4.167 -3.763
0.357 -2.883 3.191
Ba N S V
1 1 2 1
Cartesian
0.000 0.000 0.000
0.178 -1.442 1.595
-0.007 -2.083 -1.882
-2.798 -0.150 0.177
-2.627 -3.675 -0.109
```

Properties
- Spin magnetization: 0.2 μB per formula unit
- Formation energy (no corrections): 1.599 eV/atom
- DOS at the Fermi energy: 9.8 states/eV/cell
- Relative energy among the computed polymorphs: 2.532 eV/atom



(7)
The following is a DFT calculation (PBE) of BaVSN2 after structural relaxation.

Cell and atoms, written as POSCAR:
```
BaVSN2
1.0
4.078 0.000 0.000
0.000 4.078 0.000
0.000 0.000 4.847
N S Ba V
2 1 1 1
Cartesian
0.000 2.039 0.000
2.039 0.000 0.000
0.000 0.000 2.423
2.039 2.039 2.423
0.000 0.000 0.000
```

Properties
- Spin magnetization: 0.9 μB per formula unit
- Formation energy (no corrections): -0.444 eV/atom
- DOS at the Fermi energy: 2.0 states/eV/cell
- Relative energy among the computed polymorphs: 0.000 eV/atom



(8)
The following is a DFT calculation (PBE) of BaWSN2 after structural relaxation.

Cell and atoms, written as POSCAR:
```
BaWSN2
1.0
-3.585 2.039 -1.371
-0.401 -2.878 -3.231
-3.262 -3.417 3.449
N S Ba W
2 1 1 1
Cartesian
-0.201 -1.439 -1.616
=====

[Assignment]
Could you transcribe the whole of the material further up with every line break kept?

[Written answer]
(1)
The following is a DFT calculation (PBE) of BaTe2SN after structural relaxation.

Cell and atoms, written as POSCAR:
```
BaTe2SN
1.0
-6.716 0.142 1.271
0.249 -6.519 2.044
0.974 1.595 4.967
S Te Ba N
1 2 1 1
Cartesian
-2.746 -2.391 4.141
-3.358 0.071 0.636
0.124 -3.260 1.022
0.000 0.000 0.000
0.487 0.797 2.484
```

Properties
- Spin magnetization: 7.0 μB per formula unit
- Formation energy (no corrections): 1.262 eV/atom
- DOS at the Fermi energy: 5.6 states/eV/cell
- Relative energy among the computed polymorphs: 1.179 eV/atom



(2)
The following is a DFT calculation (PBE) of BaTiS2N after structural relaxation.

Cell and atoms, written as POSCAR:
```
BaTiS2N
1.0
5.680 0.000 0.000
0.000 5.680 0.000
0.000 0.000 4.553
Ti S Ba N
1 2 1 1
Cartesian
2.840 2.840 2.277
2.840 0.000 0.000
0.000 2.840 0.000
0.000 0.000 0.000
0.000 0.000 2.277
```

Properties
- Spin magnetization: 0.6 μB per formula unit
- Formation energy (no corrections): 1.076 eV/atom
- DOS at the Fermi energy: 3.9 states/eV/cell
- Relative energy among the computed polymorphs: 2.230 eV/atom



(3)
The following is a DFT calculation (PBE) of BaTiS2N after structural relaxation.

Cell and atoms, written as POSCAR:
```
BaTiS2N
1.0
4.980 0.000 0.000
0.000 4.980 0.000
0.000 0.000 4.023
Ti Ba S N
1 1 2 1
Cartesian
0.000 0.000 0.000
2.490 2.490 2.012
0.000 2.490 0.000
2.490 0.000 0.000
0.000 0.000 2.012
```

Properties
- Spin magnetization: 1.0 μB per formula unit
- Formation energy (no corrections): -1.154 eV/atom
- DOS at the Fermi energy: 1.9 states/eV/cell
- Relative energy among the computed polymorphs: 0.000 eV/atom



(4)
The following is a DFT calculation (PBE) of BaVS2N after structural relaxation.

Cell and atoms, written as POSCAR:
```
BaVS2N
1.0
4.957 0.000 0.000
0.000 4.957 0.000
0.000 0.000 3.808
Ba S N V
1 2 1 1
Cartesian
2.479 2.479 1.904
2.479 0.000 0.000
0.000 2.479 0.000
0.000 0.000 1.904
0.000 0.000 0.000
```

Properties
- Spin magnetization: 0.0 μB per formula unit
- Formation energy (no corrections): -0.933 eV/atom
- DOS at the Fermi energy: 2.9 states/eV/cell
- Relative energy among the computed polymorphs: 0.000 eV/atom



(5)
The following is a DFT calculation (PBE) of BaVSN2 after structural relaxation.

Cell and atoms, written as POSCAR:
```
BaVSN2
1.0
-0.969 2.062 3.886
2.130 -3.261 2.262
5.206 3.143 -0.370
S N Ba V
1 2 1 1
Cartesian
2.603 1.572 -0.185
1.065 -1.631 1.131
-0.485 1.031 1.943
0.000 0.000 0.000
3.183 0.972 2.889
```

Properties
- Spin magnetization: 1.0 μB per formula unit
- Formation energy (no corrections): 1.797 eV/atom
- DOS at the Fermi energy: 5.4 states/eV/cell
- Relative energy among the computed polymorphs: 2.241 eV/atom



(6)
The following is a DFT calculation (PBE) of BaVS2N after structural relaxation.

Cell and atoms, written as POSCAR:
```
BaVS2N
1.0
-5.595 -0.301 0.354
-0.015 -4.167 -3.763
0.357 -2.883 3.191
Ba N S V
1 1 2 1
Cartesian
0.000 0.000 0.000
0.178 -1.442 1.595
-0.007 -2.083 -1.882
-2.798 -0.150 0.177
-2.627 -3.675 -0.109
```

Properties
- Spin magnetization: 0.2 μB per formula unit
- Formation energy (no corrections): 1.599 eV/atom
- DOS at the Fermi energy: 9.8 states/eV/cell
- Relative energy among the computed polymorphs: 2.532 eV/atom



(7)
The following is a DFT calculation (PBE) of BaVSN2 after structural relaxation.

Cell and atoms, written as POSCAR:
```
BaVSN2
1.0
4.078 0.000 0.000
0.000 4.078 0.000
0.000 0.000 4.847
N S Ba V
2 1 1 1
Cartesian
0.000 2.039 0.000
2.039 0.000 0.000
0.000 0.000 2.423
2.039 2.039 2.423
0.000 0.000 0.000
```

Properties
- Spin magnetization: 0.9 μB per formula unit
- Formation energy (no corrections): -0.444 eV/atom
- DOS at the Fermi energy: 2.0 states/eV/cell
- Relative energy among the computed polymorphs: 0.000 eV/atom



(8)
The following is a DFT calculation (PBE) of BaWSN2 after structural relaxation.

Cell and atoms, written as POSCAR:
```
BaWSN2
1.0
-3.585 2.039 -1.371
-0.401 -2.878 -3.231
-3.262 -3.417 3.449
N S Ba W
2 1 1 1
Cartesian
-0.201 -1.439 -1.616